Count the lines underneath that contain the word "Symmetry" and give the number alone.

- - -
No. 1
HfMg14Sn | PBE-GGA | relaxed Values from VASP.

Output
Magnetic moment (μB/cell): 0.017
Formation energy (eV per atom): 0.01
ρ (g/cm³): 2.9
Symmetry: P-6m2

```
&SYSTEM
  ibrav = 0, nat = 16, ntyp = 3
/
ATOMIC_SPECIES
Mg 24.30 Mg.upf
Hf 178.49 Hf.upf
Sn 118.71 Sn.upf
CELL_PARAMETERS angstrom
-3.8942 3.9201 3.1512
-0.1986 -6.2584 1.1199
7.1540 1.1083 7.4622
ATOMIC_POSITIONS angstrom
Mg 1.2980 -2.4122 4.6049
Mg -1.7727 0.6566 3.4126
Mg -0.6449 -0.4822 6.2230
Mg 2.8322 0.0564 9.8499
Mg 4.9137 1.1895 7.7282
Mg 2.9214 3.1950 9.3404
Mg 1.8196 1.2413 7.1246
Mg 0.0882 -4.4252 2.3833
Hf 3.7560 -0.7401 5.5624
Mg 1.3950 0.6444 4.0579
Mg -0.5973 2.6499 5.6701
Mg -1.8714 -2.4526 3.9690
Sn 0.1790 -1.2943 1.8313
Mg 4.8167 -1.8671 8.2752
Mg 3.6368 -3.8654 6.1408
Mg 1.7188 -1.9346 7.6929
```



No. 2
HfMg6Sn | PBE-GGA | relaxed Values from VASP.

Output
Magnetic moment (μB/cell): 0.001
Formation energy (eV per atom): 0.00
ρ (g/cm³): 4.1

```
&SYSTEM
  ibrav = 0, nat = 16, ntyp = 3
/
ATOMIC_SPECIES
Mg 24.30 Mg.upf
Sn 118.71 Sn.upf
Hf 178.49 Hf.upf
CELL_PARAMETERS angstrom
5.1976 0.0000 0.0000
0.0000 6.1275 0.0000
0.0000 0.0000 11.2312
ATOMIC_POSITIONS angstrom
Mg 0.0000 3.0638 3.7125
Mg 0.0000 0.0000 3.7596
Mg 2.5988 4.6034 10.3069
Sn 2.5988 3.0638 7.4908
Mg 0.0000 4.5543 0.9113
Hf 2.5988 3.0638 1.9096
Mg 0.0000 0.0000 9.3280
Mg 0.0000 1.5732 0.9113
Mg 0.0000 1.4906 6.5269
Hf 2.5988 0.0000 7.5252
Mg 0.0000 3.0638 9.3752
Sn 2.5988 0.0000 1.8752
Mg 0.0000 4.6369 6.5269
Mg 2.5988 1.5397 4.6914
Mg 2.5988 1.5241 10.3069
Mg 2.5988 4.5879 4.6914
```



No. 3
HfMg6Sn | PBE-GGA | relaxed Values from VASP.

Output
Magnetic moment (μB/cell): 0.001
Formation energy (eV per atom): 0.01
ρ (g/cm³): 4.1

```
&SYSTEM
  ibrav = 0, nat = 16, ntyp = 3
/
ATOMIC_SPECIES
Mg 24.30 Mg.upf
Sn 118.71 Sn.upf
Hf 178.49 Hf.upf
CELL_PARAMETERS angstrom
4.9824 0.0000 0.0000
0.0000 6.5110 0.0000
0.0000 0.0000 11.0486
ATOMIC_POSITIONS angstrom
Mg 2.4912 4.8796 6.4433
Mg 0.0000 4.8524 10.1498
Mg 0.0000 3.2555 7.3583
Mg 2.4912 1.6241 0.9190
Mg 2.4912 1.6315 6.4433
Sn 2.4912 3.2555 3.6268
Sn 2.4912 0.0000 9.1511
Mg 2.4912 3.2555 9.2033
Mg 0.0000 0.0000 1.8340
Mg 0.0000 1.6587 10.1498
Mg 2.4912 4.8870 0.9190
Hf 0.0000 0.0000 7.3927
Mg 0.0000 4.9142 4.6255
Hf 0.0000 3.2555 1.8684
Mg 0.0000 1.5969 4.6255
Mg 2.4912 0.0000 3.6790
```



No. 4
HfMg14Sn | PBE-GGA | relaxed Values from VASP.

Output
Magnetic moment (μB/cell): 0.009
Formation energy (eV per atom): -0.01
ρ (g/cm³): 2.9
Symmetry: Amm2

```
&SYSTEM
  ibrav = 0, nat = 16, ntyp = 3
/
ATOMIC_SPECIES
Mg 24.30 Mg.upf
Hf 178.49 Hf.upf
Sn 118.71 Sn.upf
CELL_PARAMETERS angstrom
-5.0348 2.0537 3.3524
4.0082 -4.0923 2.6138
5.6213 7.8331 3.6437
ATOMIC_POSITIONS angstrom
Mg 1.3924 7.8816 6.4128
Hf 3.2089 -2.0888 3.1844
Mg 3.1124 0.8847 4.2322
Mg 3.4988 2.8533 6.6904
Mg 1.0892 2.9504 2.9128
Mg 0.5734 1.9163 5.9129
Mg 6.0147 1.8277 5.0137
Mg -1.4158 3.9684 4.5925
Sn 1.2013 -0.0427 1.8829
Mg 1.4922 4.9020 5.3818
Mg 4.0117 3.8739 3.7051
Mg 3.3902 5.8415 7.7388
Mg 5.9221 4.7999 6.0534
Mg 0.6800 -1.0561 4.8656
Mg 3.8989 6.8656 4.7341
Mg -1.3125 0.9783 3.5662
```



No. 5
SrHfMg14 | PBE-GGA | relaxed Values from VASP.

Output
Magnetic moment (μB/cell): 0.098
Formation energy (eV per atom): 0.09
ρ (g/cm³): 2.6
Symmetry: P-6m2

```
&SYSTEM
  ibrav = 0, nat = 16, ntyp = 3
/
ATOMIC_SPECIES
Mg 24.30 Mg.upf
Sr 87.62 Sr.upf
Hf 178.49 Hf.upf
CELL_PARAMETERS angstrom
6.5897 0.0000 0.0000
-3.2948 5.7068 0.0000
0.0000 0.0000 10.3491
ATOMIC_POSITIONS angstrom
Mg -1.5988 4.7837 1.2936
Mg 3.2948 3.8046 3.8577
Mg 3.2948 1.8462 1.2936
Mg 4.9179 0.9371 3.9983
Mg 0.0000 3.8327 3.9983
Mg 1.5988 4.7837 1.2936
Mg 3.2948 3.8046 9.0786
Sr 0.0000 1.9023 1.2936
Mg 4.9179 0.9371 8.9381
Mg 1.6718 0.9371 3.9983
Mg 3.2948 1.8995 6.4682
Mg 1.6450 4.7571 6.4682
Mg 1.6718 0.9371 8.9381
Mg 0.0000 3.8327 8.9381
Mg -1.6450 4.7571 6.4682
Hf 0.0000 1.9023 6.4682
```



No. 6
SrHfMg14 | PBE-GGA | relaxed Values from VASP.

Output
Magnetic moment (μB/cell): 0.000
- - -

3